Source:
=====
This record from the Materials Project describes a relaxed MgMn2O4 crystal. The functional is GGA+U.

a b c (Å): 3.1079 5.2812 9.3420
angles (deg): 90.00 90.00 107.30
Atoms (fractional coordinates):
1 Mg 0.4042 0.8139 0.7510
2 Mg 0.5955 0.1862 0.2509
3 Mn 0.7618 0.7262 0.0709
4 Mn 0.0345 0.2734 0.9290
5 Mn 0.9655 0.7267 0.4291
6 Mn 0.2385 0.2737 0.5709
7 O 0.4047 0.4511 0.3847
8 O 0.9551 0.5488 0.6150
9 O 0.5954 0.5489 0.8847
10 O 0.0451 0.4511 0.1150
11 O 0.9615 0.9213 0.2499
12 O 0.0383 0.0787 0.7499
13 O 0.4993 0.9989 0.9995
14 O 0.5008 0.0010 0.4995

DFT formation energy ... -2284 meV/atom
Space-group type ... No. 4
Polymorph energy (0 for the lowest one) ... 38.9 kJ/mol of formula units
=====

To do:
Your job: start at the top of the data earlier on and copy each line, ending with the one that has "Space-group type".

Done:
This record from the Materials Project describes a relaxed MgMn2O4 crystal. The functional is GGA+U.

a b c (Å): 3.1079 5.2812 9.3420
angles (deg): 90.00 90.00 107.30
Atoms (fractional coordinates):
1 Mg 0.4042 0.8139 0.7510
2 Mg 0.5955 0.1862 0.2509
3 Mn 0.7618 0.7262 0.0709
4 Mn 0.0345 0.2734 0.9290
5 Mn 0.9655 0.7267 0.4291
6 Mn 0.2385 0.2737 0.5709
7 O 0.4047 0.4511 0.3847
8 O 0.9551 0.5488 0.6150
9 O 0.5954 0.5489 0.8847
10 O 0.0451 0.4511 0.1150
11 O 0.9615 0.9213 0.2499
12 O 0.0383 0.0787 0.7499
13 O 0.4993 0.9989 0.9995
14 O 0.5008 0.0010 0.4995

DFT formation energy ... -2284 meV/atom
Space-group type ... No. 4